Next, restate everything further down word for word.

<<<
Material: Mn6OF11
Method: DFT, r²SCAN
State: optimized geometry

Geometry as POSCAR:
```
Mn6OF11
1.0
4.893 0.000 0.000
0.082 5.738 0.000
0.159 0.016 15.881
Mn O F
12 2 22
Cartesian
0.040 1.006 1.320 Mn
0.158 0.894 11.868 Mn
0.244 4.787 9.356 Mn
2.521 3.991 11.801 Mn
2.487 1.869 9.254 Mn
2.474 3.848 1.386 Mn
2.660 1.907 14.495 Mn
2.647 3.885 6.627 Mn
2.612 1.763 4.080 Mn
4.890 0.967 6.525 Mn
4.976 4.860 4.013 Mn
5.094 4.749 14.562 Mn
1.207 5.282 11.072 O
3.927 0.473 4.809 O
1.195 0.690 13.633 F
1.206 0.612 8.230 F
1.229 5.156 0.387 F
1.290 5.055 5.633 F
1.226 0.570 3.023 F
1.365 2.330 11.023 F
1.321 3.516 3.180 F
1.428 3.473 8.325 F
1.348 2.305 0.387 F
1.580 3.521 13.637 F
1.511 2.222 5.761 F
3.623 3.533 10.121 F
3.554 2.233 2.245 F
3.786 3.450 15.494 F
3.706 2.281 7.556 F
3.813 2.238 12.701 F
3.769 3.424 4.858 F
3.908 5.185 12.858 F
3.844 0.699 10.248 F
3.905 0.598 15.494 F
3.928 5.143 7.651 F
3.939 5.065 2.248 F
```

Properties
As for the relative energy among the computed polymorphs: 15 meV/atom. The value obtained for the calculated total energy is -9.963 eV per atom. Its symmetry is P-1, No. 2. As for the energy of formation from the pure elements: -2.826 eV per atom. The calculation puts the total magnetic moment at 58.00 μB/cell.


Material: Rb3MnF7
Method: DFT, r²SCAN
State: optimized geometry

Geometry as POSCAR:
```
Rb3MnF7
1.0
7.963 0.000 0.000
0.000 7.963 0.000
0.000 0.000 5.868
Rb Mn F
6 2 14
Cartesian
0.000 0.000 0.000 Rb
1.507 2.474 2.934 Rb
2.474 6.456 2.934 Rb
3.982 3.982 0.000 Rb
5.489 1.507 2.934 Rb
6.456 5.489 2.934 Rb
0.000 3.982 0.000 Mn
3.982 0.000 0.000 Mn
0.000 0.000 2.934 F
0.895 4.876 1.299 F
0.895 4.876 4.569 F
1.281 2.700 0.000 F
2.700 6.682 0.000 F
3.087 0.895 1.299 F
3.087 0.895 4.569 F
3.982 3.982 2.934 F
4.876 7.068 1.299 F
4.876 7.068 4.569 F
5.263 1.281 0.000 F
6.682 5.263 0.000 F
7.068 3.087 1.299 F
7.068 3.087 4.569 F
```

Properties
The value obtained for the calculated total energy is -10.084 eV per atom. Its symmetry is P4/mbm, No. 127. As for the energy of formation from the pure elements: -2.960 eV per atom. The calculation puts the total magnetic moment at 6.00 μB/cell.


Material: RbMnF4
Method: DFT, r²SCAN
State: optimized geometry

Geometry as POSCAR:
```
RbMnF4
1.0
6.016 0.000 0.000
0.000 7.756 0.000
-0.111 0.000 7.801
Rb Mn F
4 4 16
Cartesian
0.080 1.596 1.977 Rb
0.024 2.282 5.877 Rb
5.880 5.474 1.924 Rb
5.824 6.160 5.825 Rb
3.008 0.000 0.000 Mn
2.952 0.000 3.901 Mn
3.008 3.878 0.000 Mn
2.952 3.878 3.901 Mn
1.219 4.291 4.300 F
1.275 7.344 0.399 F
1.178 4.383 7.441 F
1.234 7.252 3.540 F
2.374 1.805 3.889 F
2.318 2.073 7.790 F
2.510 3.988 2.067 F
2.454 7.646 5.968 F
3.450 0.110 1.833 F
3.394 3.768 5.734 F
3.586 5.684 0.012 F
3.530 5.951 3.912 F
4.670 0.504 4.261 F
4.726 3.374 0.360 F
4.630 0.413 7.402 F
4.685 3.466 3.502 F
```

Properties
The value obtained for the calculated total energy is -9.850 eV per atom. Its symmetry is P2_1/c, No. 14. As for the energy of formation from the pure elements: -2.997 eV per atom. The calculation puts the total magnetic moment at 16.00 μB/cell.


Material: Rb2MnF6
Method: DFT, r²SCAN
State: optimized geometry

Geometry as POSCAR:
```
Rb2MnF6
1.0
5.886 0.000 0.000
-2.943 5.097 0.000
0.000 0.000 9.567
Rb Mn F
4 2 12
Cartesian
0.000 0.000 0.000 Rb
0.000 0.000 4.783 Rb
0.000 3.398 2.629 Rb
2.943 1.699 7.412 Rb
0.000 3.398 6.282 Mn
2.943 1.699 1.499 Mn
-1.276 2.662 5.219 F
0.000 1.885 7.289 F
-1.311 4.155 7.289 F
1.632 0.942 2.506 F
1.276 2.662 5.219 F
0.000 4.872 5.219 F
2.943 0.226 0.436 F
1.667 2.436 0.436 F
1.311 4.155 7.289 F
4.254 0.942 2.506 F
2.943 3.213 2.506 F
4.219 2.436 0.436 F
```

Properties
The value obtained for the calculated total energy is -9.793 eV per atom. Its symmetry is P6_3mc, No. 186. As for the energy of formation from the pure elements: -2.982 eV per atom. The calculation puts the total magnetic moment at 6.00 μB/cell.


Material: Rb2MnF4
Method: DFT, r²SCAN
State: optimized geometry

Geometry as POSCAR:
```
Rb2MnF4
1.0
>>>

Material: Mn6OF11
Method: DFT, r²SCAN
State: optimized geometry

Geometry as POSCAR:
```
Mn6OF11
1.0
4.893 0.000 0.000
0.082 5.738 0.000
0.159 0.016 15.881
Mn O F
12 2 22
Cartesian
0.040 1.006 1.320 Mn
0.158 0.894 11.868 Mn
0.244 4.787 9.356 Mn
2.521 3.991 11.801 Mn
2.487 1.869 9.254 Mn
2.474 3.848 1.386 Mn
2.660 1.907 14.495 Mn
2.647 3.885 6.627 Mn
2.612 1.763 4.080 Mn
4.890 0.967 6.525 Mn
4.976 4.860 4.013 Mn
5.094 4.749 14.562 Mn
1.207 5.282 11.072 O
3.927 0.473 4.809 O
1.195 0.690 13.633 F
1.206 0.612 8.230 F
1.229 5.156 0.387 F
1.290 5.055 5.633 F
1.226 0.570 3.023 F
1.365 2.330 11.023 F
1.321 3.516 3.180 F
1.428 3.473 8.325 F
1.348 2.305 0.387 F
1.580 3.521 13.637 F
1.511 2.222 5.761 F
3.623 3.533 10.121 F
3.554 2.233 2.245 F
3.786 3.450 15.494 F
3.706 2.281 7.556 F
3.813 2.238 12.701 F
3.769 3.424 4.858 F
3.908 5.185 12.858 F
3.844 0.699 10.248 F
3.905 0.598 15.494 F
3.928 5.143 7.651 F
3.939 5.065 2.248 F
```

Properties
As for the relative energy among the computed polymorphs: 15 meV/atom. The value obtained for the calculated total energy is -9.963 eV per atom. Its symmetry is P-1, No. 2. As for the energy of formation from the pure elements: -2.826 eV per atom. The calculation puts the total magnetic moment at 58.00 μB/cell.


Material: Rb3MnF7
Method: DFT, r²SCAN
State: optimized geometry

Geometry as POSCAR:
```
Rb3MnF7
1.0
7.963 0.000 0.000
0.000 7.963 0.000
0.000 0.000 5.868
Rb Mn F
6 2 14
Cartesian
0.000 0.000 0.000 Rb
1.507 2.474 2.934 Rb
2.474 6.456 2.934 Rb
3.982 3.982 0.000 Rb
5.489 1.507 2.934 Rb
6.456 5.489 2.934 Rb
0.000 3.982 0.000 Mn
3.982 0.000 0.000 Mn
0.000 0.000 2.934 F
0.895 4.876 1.299 F
0.895 4.876 4.569 F
1.281 2.700 0.000 F
2.700 6.682 0.000 F
3.087 0.895 1.299 F
3.087 0.895 4.569 F
3.982 3.982 2.934 F
4.876 7.068 1.299 F
4.876 7.068 4.569 F
5.263 1.281 0.000 F
6.682 5.263 0.000 F
7.068 3.087 1.299 F
7.068 3.087 4.569 F
```

Properties
The value obtained for the calculated total energy is -10.084 eV per atom. Its symmetry is P4/mbm, No. 127. As for the energy of formation from the pure elements: -2.960 eV per atom. The calculation puts the total magnetic moment at 6.00 μB/cell.


Material: RbMnF4
Method: DFT, r²SCAN
State: optimized geometry

Geometry as POSCAR:
```
RbMnF4
1.0
6.016 0.000 0.000
0.000 7.756 0.000
-0.111 0.000 7.801
Rb Mn F
4 4 16
Cartesian
0.080 1.596 1.977 Rb
0.024 2.282 5.877 Rb
5.880 5.474 1.924 Rb
5.824 6.160 5.825 Rb
3.008 0.000 0.000 Mn
2.952 0.000 3.901 Mn
3.008 3.878 0.000 Mn
2.952 3.878 3.901 Mn
1.219 4.291 4.300 F
1.275 7.344 0.399 F
1.178 4.383 7.441 F
1.234 7.252 3.540 F
2.374 1.805 3.889 F
2.318 2.073 7.790 F
2.510 3.988 2.067 F
2.454 7.646 5.968 F
3.450 0.110 1.833 F
3.394 3.768 5.734 F
3.586 5.684 0.012 F
3.530 5.951 3.912 F
4.670 0.504 4.261 F
4.726 3.374 0.360 F
4.630 0.413 7.402 F
4.685 3.466 3.502 F
```

Properties
The value obtained for the calculated total energy is -9.850 eV per atom. Its symmetry is P2_1/c, No. 14. As for the energy of formation from the pure elements: -2.997 eV per atom. The calculation puts the total magnetic moment at 16.00 μB/cell.


Material: Rb2MnF6
Method: DFT, r²SCAN
State: optimized geometry

Geometry as POSCAR:
```
Rb2MnF6
1.0
5.886 0.000 0.000
-2.943 5.097 0.000
0.000 0.000 9.567
Rb Mn F
4 2 12
Cartesian
0.000 0.000 0.000 Rb
0.000 0.000 4.783 Rb
0.000 3.398 2.629 Rb
2.943 1.699 7.412 Rb
0.000 3.398 6.282 Mn
2.943 1.699 1.499 Mn
-1.276 2.662 5.219 F
0.000 1.885 7.289 F
-1.311 4.155 7.289 F
1.632 0.942 2.506 F
1.276 2.662 5.219 F
0.000 4.872 5.219 F
2.943 0.226 0.436 F
1.667 2.436 0.436 F
1.311 4.155 7.289 F
4.254 0.942 2.506 F
2.943 3.213 2.506 F
4.219 2.436 0.436 F
```

Properties
The value obtained for the calculated total energy is -9.793 eV per atom. Its symmetry is P6_3mc, No. 186. As for the energy of formation from the pure elements: -2.982 eV per atom. The calculation puts the total magnetic moment at 6.00 μB/cell.


Material: Rb2MnF4
Method: DFT, r²SCAN
State: optimized geometry

Geometry as POSCAR:
```
Rb2MnF4
1.0